
Consumers, who substantially slowed down their spending in late summer, roared back to life in September, boosting their purchases by 0.6 percent. The gain in spending reported Monday by the government far outpaced the increase in incomes.

The Commerce Department (search) attributed the spending surge to a big jump in purchases of big-ticket products (search) such as cars, reflecting the fact that auto dealers brought back popular sales incentives.

The 0.6 percent rise in consumer spending followed an outright decline of 0.1 percent in August, which had followed a 1.2 percent July increase. Consumer spending is closely watched since it accounts for two-thirds of total economic activity.

Income growth was a far more moderate 0.2 percent in September following a 0.3 percent rise in August, which had been the biggest income increase since a 0.5 percent rise in May.

The government reported on Friday that the overall economy, as measured by the gross domestic product, grew at an annual rate of 3.7 percent in the July-September quarter, up from a 3.3 percent rate of GDP growth in the April-June quarter.

********
Record 1
The following is a DFT calculation (GGA-PBE) of a relaxed Si2Ru crystal.

a b c (Å): 4.3136 4.3136 5.0265
angles (deg): 90.00 90.00 120.00
Sites, in units of the cell vectors:
Si 0.0000 0.0000 0.0000
Si 0.0000 0.0000 0.5000
Si 0.3333 0.6667 0.2500
Si 0.6667 0.3333 0.7500
Ru 0.6667 0.3333 0.2500
Ru 0.3333 0.6667 0.7500

Crystal system: hexagonal
E_tot (eV/cell): -39.415
Density (Mg/m³): 6.4
E_form (uncorrected) (kJ/mol of atoms): 13.3

Record 2
The following is a DFT calculation (GGA-PBE) of a relaxed Si2Ru3 crystal.

a b c (Å): 4.0106 4.0106 5.0904
angles (deg): 90.00 90.00 120.00
Sites, in units of the cell vectors:
Si 0.6667 0.3333 0.1919
Si 0.3333 0.6667 0.8081
Ru 0.0000 0.0000 0.0000
Ru 0.6667 0.3333 0.6712
Ru 0.3333 0.6667 0.3288

Crystal system: trigonal
E_tot (eV/cell): -40.410
Density (Mg/m³): 8.4
E_form (uncorrected) (kJ/mol of atoms): -33.5

Record 3
The following is a DFT calculation (GGA-PBE) of a relaxed Si4Ru5 crystal.

a b c (Å): 5.9972 5.9972 5.9972
angles (deg): 96.24 96.24 141.51
Sites, in units of the cell vectors:
Si 0.2972 0.0000 0.2972
Si 0.7028 0.0000 0.7028
Si 0.0000 0.7028 0.7028
Si 0.0000 0.2972 0.2972
Ru 0.0000 0.0000 0.0000
Ru 0.3301 0.6699 0.0000
Ru 0.6699 0.3301 0.0000
Ru 0.6699 0.6699 0.3398
Ru 0.3301 0.3301 0.6602

Crystal system: tetragonal
E_tot (eV/cell): -68.946
Density (Mg/m³): 8.1
E_form (uncorrected) (kJ/mol of atoms): -9.4
Distance to the lowest polymorph of the same formula (eV/f.u.): 2.51

Record 4
The following is a DFT calculation (GGA-PBE) of a relaxed Si2Ru crystal.

a b c (Å): 4.6022 4.6022 6.6412
angles (deg): 77.75 77.75 36.67
Sites, in units of the cell vectors:
Si 0.3532 0.3532 0.5419
Si 0.6608 0.6608 0.8986
Si 0.3392 0.3392 0.1014
Si 0.6468 0.6468 0.4581
Ru 0.0453 0.0453 0.2041
Ru 0.9547 0.9547 0.7959

Crystal system: monoclinic
E_tot (eV/cell): -41.909
Density (Mg/m³): 6.4
E_form (uncorrected) (kJ/mol of atoms): -26.8

Record 5
The following is a DFT calculation (GGA-PBE) of a relaxed SiRu3 crystal.

a b c (Å): 4.2939 4.6960 5.3774
angles (deg): 90.00 90.00 90.00
Sites, in units of the cell vectors:
Si 0.0000 0.6500 0.0000
Si 0.5000 0.3500 0.5000
Ru 0.5000 0.3522 0.0000
Ru 0.0000 0.6478 0.5000
Ru 0.0000 0.1510 0.2554
Ru 0.0000 0.1510 0.7446
Ru 0.5000 0.8490 0.7554
Ru 0.5000 0.8490 0.2446

Crystal system: orthorhombic
E_tot (eV/cell): -67.655
Density (Mg/m³): 10.1
E_form (uncorrected) (kJ/mol of atoms): -13.9

Record 6
The following is a DFT calculation (GGA-PBE) of a relaxed Si3Ru crystal.

a b c (Å): 4.7072 4.7072 4.7072
angles (deg): 140.17 122.19 72.50
Sites, in units of the cell vectors:
Ru 0.5000 0.0000 0.5000
Si 0.7606 0.7606 0.0000
Si 0.2394 0.2394 0.0000
Si 0.0000 0.5000 0.5000

Crystal system: orthorhombic
E_tot (eV/cell): -25.182
Density (Mg/m³): 5.6
E_form (uncorrected) (kJ/mol of atoms): 8.8

Record 7
The following is a DFT calculation (GGA-PBE) of a relaxed Si2Ru crystal.

a b c (Å): 14.1651 14.1651 14.1651
angles (deg): 165.88 165.88 20.01
********
So much for the crystal structures >

That rebound reflected a bounce in consumer spending to an annual rate of 4.6 percent, far ahead of the anemic 1.6 percent rate in the second quarter.

While an improvement over the second quarter, the 3.7 percent GDP growth in the third quarter was still below economists' predictions that the economy was expanding at a 4.3 percent annual rate in the summer.

The economy has been a major debating point in the presidential election with President Bush contending that his large tax cuts have helped to jump-start growth following the 2001 recession. Challenger John Kerry contends the tax cuts went primarily to the wealthy and helped to produce record budget deficits.

********
# Ac3CoCu | Alexandria via LeMat-Bulk | PBE-GGA | optimized geometry
# Crystal system = orthorhombic
data_Ac3CoCu
_chemical_formula_sum 'Ac12 Co4 Cu4'
_cell_length_a 10.917
_cell_length_b 4.210
_cell_length_c 13.661
_cell_angle_alpha 90.00
_cell_angle_beta 90.00
_cell_angle_gamma 90.00
_space_group_name_H-M_alt 'P n m a'
_space_group_IT_number 62
_space_group_name_Hall '-P 2ac 2n'
loop_
_atom_site_label
_atom_site_type_symbol
_atom_site_fract_x
_atom_site_fract_y
_atom_site_fract_z
Ac1 Ac 0.037 0.250 0.121
Ac2 Ac 0.086 0.750 0.607
Ac3 Ac 0.231 0.750 0.328
Co1 Co 0.024 0.250 0.742
Cu1 Cu 0.226 0.750 0.003

# NdAs3Pd3 | Alexandria via LeMat-Bulk | PBE-GGA | optimized geometry
# Crystal system = cubic
data_NdAs3Pd3
_chemical_formula_sum 'Nd2 As6 Pd6'
_cell_length_a 6.833
_cell_length_b 6.833
_cell_length_c 6.833
_cell_angle_alpha 90.00
_cell_angle_beta 90.00
_cell_angle_gamma 90.00
_space_group_name_H-M_alt 'P m -3 n'
_space_group_IT_number 223
_space_group_name_Hall '-P 4n 2 3'
loop_
_atom_site_label
_atom_site_type_symbol
_atom_site_fract_x
_atom_site_fract_y
_atom_site_fract_z
Nd1 Nd 0.000 0.000 0.000
As1 As 0.000 0.250 0.500
Pd1 Pd 0.000 0.500 0.250

# In3BiOs | Alexandria via LeMat-Bulk | PBE-GGA | optimized geometry
# Crystal system = cubic
data_In3BiOs
_chemical_formula_sum 'In3 Bi1 Os1'
_cell_length_a 5.229
_cell_length_b 5.229
_cell_length_c 5.229
_cell_angle_alpha 90.00
_cell_angle_beta 90.00
_cell_angle_gamma 90.00
_space_group_name_H-M_alt 'P m -3 m'
_space_group_IT_number 221
_space_group_name_Hall '-P 4 2 3'
loop_
_atom_site_label
_atom_site_type_symbol
_atom_site_fract_x
_atom_site_fract_y
_atom_site_fract_z
In1 In 0.000 0.000 0.500
Bi1 Bi 0.500 0.500 0.500
Os1 Os 0.000 0.000 0.000

# Th3B2C3 | Alexandria via LeMat-Bulk | PBE-GGA | optimized geometry
# Crystal system = monoclinic
data_Th3B2C3
_chemical_formula_sum 'Th3 B2 C3'
_cell_length_a 3.724
_cell_length_b 3.791
_cell_length_c 9.250
_cell_angle_alpha 90.00
_cell_angle_beta 99.83
_cell_angle_gamma 90.00
_space_group_name_H-M_alt 'P 1 2/m 1'
_space_group_IT_number 10
_space_group_name_Hall '-P 2y'
loop_
_atom_site_label
_atom_site_type_symbol
_atom_site_fract_x
_atom_site_fract_y
_atom_site_fract_z
Th1 Th 0.000 0.000 0.000
Th2 Th 0.377 0.500 0.698
B1 B 0.145 0.000 0.441
C1 C 0.116 0.000 0.276
C2 C 0.500 0.500 0.000

| no. | ΔH_f (0 K) (kJ/mol of atoms) | calculated density (g/cm3) |
| --- | --- | --- |
| 1 | -5.4 | 8.50 |
| 2 | -34.7 | 7.16 |
| 3 | 42.2 | 8.64 |
| 4 | -40.5 | 9.73 |

----------

DFT (PBE-GGA) results for an optimized crystal structure of MnSiGe2.

For the uncorrected formation energy, the calculation gives -7 meV per atom. The calculated volume comes out at 15.67 A^3/atom. The electronic total energy is -47.7 eV per cell. The calculated density is 6.05 Mg/m³.
********

The Commerce Department reported that purchases of durable goods, the category that includes autos, rose by 1.6 percent in September after having fallen by 2 percent in August.

Americans' after-tax incomes (search) rose by a tiny 0.1 percent in September following a 0.2 percent advance in August.

With spending rising three times as fast as after-tax incomes, Americans' savings rate (search) dropped to 0.2 percent in September, down from 0.7 percent in September. It was the lowest level for the savings rate since it dropped to an all-time low of minus 0.2 percent in October 2001.

Economists are concerned that if incomes do not rebound, Americans will be forced to cut back on spending at some point, given that the savings rate is at such a low level.

Income growth has lagged in part because job growth has been disappointing in recent months. While the unemployment rate stayed at 5.4 percent in September, the economy created just 96,000 jobs during the month, far below the 150,000 jobs analysts had been expecting.

Businesses have grown cautious about hiring new workers out of concern that the big jump in energy prices will slow economic activity in the months ahead.